Print the calculation results further down word for word.
........
1.
Molecular formula: C19H20N2O5
Method: DFT, ωB97M-V/def2-TZVPD

Values from the calculation:
* SMILES string: O=C(O)CNC(=O)[C@@H](Cc1ccccc1)NC(=O)OCc1ccccc1
* spin multiplicity: 1
* total charge: 0
* highest occupied orbital energy: -9.15 eV
* relative energy (zero: lowest compared OMol25 entry of this formula, charge and spin): 8.2 kJ/mol
* orbital gap: 9.7 eV
* lowest unoccupied orbital energy: 0.562 eV

XYZ file:
```
46
Properties=species:S:1:pos:R:3:nbo_charge:R:1
O 3.620 3.612 1.668 -0.590
C 3.387 2.702 0.919 0.784
O 4.055 1.548 0.954 -0.688
C 2.339 2.748 -0.175 -0.344
N 1.857 1.458 -0.590 -0.628
C 2.133 0.983 -1.810 0.672
O 2.857 1.549 -2.608 -0.636
C 1.523 -0.378 -2.194 -0.117
C 2.380 -1.545 -1.625 -0.446
C 1.944 -1.968 -0.254 0.066
C 2.490 -1.389 0.884 -0.245
C 2.030 -1.742 2.139 -0.189
C 1.022 -2.681 2.275 -0.217
C 0.485 -3.278 1.148 -0.212
C 0.945 -2.925 -0.109 -0.254
N 0.102 -0.554 -1.934 -0.630
C -0.566 -0.547 -0.757 0.922
O -0.233 -0.010 0.278 -0.678
O -1.736 -1.197 -0.911 -0.523
C -2.621 -1.181 0.217 -0.109
C -3.410 0.100 0.269 0.016
C -4.474 0.294 -0.603 -0.231
C -5.180 1.483 -0.591 -0.199
C -4.826 2.490 0.292 -0.209
C -3.762 2.305 1.158 -0.209
C -3.055 1.115 1.147 -0.218
H 4.737 1.575 1.645 0.502
H 1.518 3.387 0.163 0.230
H 2.813 3.212 -1.051 0.270
H 1.204 0.953 0.009 0.446
H 1.626 -0.400 -3.284 0.240
H 2.293 -2.394 -2.307 0.215
H 3.421 -1.217 -1.616 0.234
H 3.268 -0.649 0.778 0.230
H 2.454 -1.277 3.017 0.211
H 0.656 -2.949 3.255 0.213
H -0.297 -4.017 1.245 0.213
H 0.522 -3.397 -0.985 0.209
H -0.387 -1.077 -2.646 0.411
H -2.030 -1.311 1.129 0.213
H -3.274 -2.043 0.064 0.200
H -4.746 -0.492 -1.293 0.210
H -6.007 1.625 -1.270 0.212
H -5.377 3.419 0.302 0.214
H -3.481 3.089 1.845 0.215
H -2.216 0.973 1.811 0.226
```

2.
Molecular formula: C19H20N4O2Pt
Method: DFT, ωB97M-V/def2-TZVPD

Values from the calculation:
* spin multiplicity: 5
* total charge: +4
* highest occupied orbital energy (spin up / spin down): -20.19 / -20.87 eV
* orbital gap (spin up / spin down): 5.8 / 2.2 eV
* lowest unoccupied orbital energy (spin up / spin down): -14.397 / -18.712 eV

XYZ file:
```
46
Properties=species:S:1:pos:R:3:nbo_charge:R:1
N 0.091 2.260 -0.266 -0.576
C 0.163 3.425 -0.209 0.526
C 0.228 4.835 -0.227 -0.791
H -0.785 5.276 -0.298 0.321
H 0.821 5.186 -1.093 0.315
H 0.707 5.219 0.697 0.327
N 1.846 -1.203 -0.586 -0.602
C 2.819 -1.837 -0.710 0.557
C 3.986 -2.596 -0.948 -0.787
H 4.610 -2.119 -1.725 0.314
H 3.723 -3.614 -1.285 0.321
H 4.583 -2.678 -0.022 0.333
N -2.031 -0.996 -0.265 -0.576
C -3.068 -1.531 -0.208 0.526
C -4.332 -2.160 -0.227 -0.791
H -4.362 -3.001 0.495 0.327
H -4.553 -2.561 -1.234 0.313
H -5.133 -1.444 0.045 0.323
Pt 0.151 -0.098 0.287 0.996
C 0.031 -1.693 1.296 0.516
O 0.044 -2.560 2.019 -0.307
C 1.561 0.656 1.296 0.516
O 2.359 0.996 2.019 -0.307
C 0.472 1.372 -3.329 0.010
C -0.902 1.440 -3.208 0.016
C -1.684 0.235 -3.209 0.012
C -1.060 -0.992 -3.329 -0.002
C 0.368 -1.062 -3.454 0.072
C 1.119 0.097 -3.454 -0.010
H 1.089 2.277 -3.355 0.303
H -1.424 2.401 -3.134 0.303
H -2.774 0.320 -3.137 0.303
H -1.634 -1.925 -3.353 0.301
H 0.834 -2.047 -3.571 0.290
H 2.209 0.073 -3.569 0.302
C -2.475 1.614 4.113 -0.092
C -1.479 2.377 3.538 -0.192
C -0.802 1.909 2.424 0.018
N -1.181 0.770 1.879 -0.483
C -2.069 -0.037 2.424 0.005
C -2.771 0.394 3.539 -0.181
H -3.000 1.956 4.995 0.279
H -1.180 3.327 3.965 0.266
H 0.012 2.543 2.041 0.211
H -2.321 -1.037 2.042 0.213
H -3.519 -0.263 3.965 0.265
```

3.
Molecular formula: C19H20N4O2SbSe4Tc
Method: DFT, ωB97M-V/def2-TZVPD

Values from the calculation:
* spin multiplicity: 1
* total charge: +2
* highest occupied orbital energy (spin up / spin down): -13.25 / -13.24 eV
* orbital gap (spin up / spin down): 4.7 / 4.6 eV
* lowest unoccupied orbital energy (spin up / spin down): -8.596 / -8.596 eV

XYZ file:
```
51
Properties=species:S:1:pos:R:3:nbo_charge:R:1
Tc -12.715 -6.594 6.851 0.742
O -11.626 -6.806 5.092 -0.607
C -11.726 -7.961 4.455 0.417
C -11.156 -7.974 3.142 -0.273
........
1.
Molecular formula: C19H20N2O5
Method: DFT, ωB97M-V/def2-TZVPD

Values from the calculation:
* SMILES string: O=C(O)CNC(=O)[C@@H](Cc1ccccc1)NC(=O)OCc1ccccc1
* spin multiplicity: 1
* total charge: 0
* highest occupied orbital energy: -9.15 eV
* relative energy (zero: lowest compared OMol25 entry of this formula, charge and spin): 8.2 kJ/mol
* orbital gap: 9.7 eV
* lowest unoccupied orbital energy: 0.562 eV

XYZ file:
```
46
Properties=species:S:1:pos:R:3:nbo_charge:R:1
O 3.620 3.612 1.668 -0.590
C 3.387 2.702 0.919 0.784
O 4.055 1.548 0.954 -0.688
C 2.339 2.748 -0.175 -0.344
N 1.857 1.458 -0.590 -0.628
C 2.133 0.983 -1.810 0.672
O 2.857 1.549 -2.608 -0.636
C 1.523 -0.378 -2.194 -0.117
C 2.380 -1.545 -1.625 -0.446
C 1.944 -1.968 -0.254 0.066
C 2.490 -1.389 0.884 -0.245
C 2.030 -1.742 2.139 -0.189
C 1.022 -2.681 2.275 -0.217
C 0.485 -3.278 1.148 -0.212
C 0.945 -2.925 -0.109 -0.254
N 0.102 -0.554 -1.934 -0.630
C -0.566 -0.547 -0.757 0.922
O -0.233 -0.010 0.278 -0.678
O -1.736 -1.197 -0.911 -0.523
C -2.621 -1.181 0.217 -0.109
C -3.410 0.100 0.269 0.016
C -4.474 0.294 -0.603 -0.231
C -5.180 1.483 -0.591 -0.199
C -4.826 2.490 0.292 -0.209
C -3.762 2.305 1.158 -0.209
C -3.055 1.115 1.147 -0.218
H 4.737 1.575 1.645 0.502
H 1.518 3.387 0.163 0.230
H 2.813 3.212 -1.051 0.270
H 1.204 0.953 0.009 0.446
H 1.626 -0.400 -3.284 0.240
H 2.293 -2.394 -2.307 0.215
H 3.421 -1.217 -1.616 0.234
H 3.268 -0.649 0.778 0.230
H 2.454 -1.277 3.017 0.211
H 0.656 -2.949 3.255 0.213
H -0.297 -4.017 1.245 0.213
H 0.522 -3.397 -0.985 0.209
H -0.387 -1.077 -2.646 0.411
H -2.030 -1.311 1.129 0.213
H -3.274 -2.043 0.064 0.200
H -4.746 -0.492 -1.293 0.210
H -6.007 1.625 -1.270 0.212
H -5.377 3.419 0.302 0.214
H -3.481 3.089 1.845 0.215
H -2.216 0.973 1.811 0.226
```

2.
Molecular formula: C19H20N4O2Pt
Method: DFT, ωB97M-V/def2-TZVPD

Values from the calculation:
* spin multiplicity: 5
* total charge: +4
* highest occupied orbital energy (spin up / spin down): -20.19 / -20.87 eV
* orbital gap (spin up / spin down): 5.8 / 2.2 eV
* lowest unoccupied orbital energy (spin up / spin down): -14.397 / -18.712 eV

XYZ file:
```
46
Properties=species:S:1:pos:R:3:nbo_charge:R:1
N 0.091 2.260 -0.266 -0.576
C 0.163 3.425 -0.209 0.526
C 0.228 4.835 -0.227 -0.791
H -0.785 5.276 -0.298 0.321
H 0.821 5.186 -1.093 0.315
H 0.707 5.219 0.697 0.327
N 1.846 -1.203 -0.586 -0.602
C 2.819 -1.837 -0.710 0.557
C 3.986 -2.596 -0.948 -0.787
H 4.610 -2.119 -1.725 0.314
H 3.723 -3.614 -1.285 0.321
H 4.583 -2.678 -0.022 0.333
N -2.031 -0.996 -0.265 -0.576
C -3.068 -1.531 -0.208 0.526
C -4.332 -2.160 -0.227 -0.791
H -4.362 -3.001 0.495 0.327
H -4.553 -2.561 -1.234 0.313
H -5.133 -1.444 0.045 0.323
Pt 0.151 -0.098 0.287 0.996
C 0.031 -1.693 1.296 0.516
O 0.044 -2.560 2.019 -0.307
C 1.561 0.656 1.296 0.516
O 2.359 0.996 2.019 -0.307
C 0.472 1.372 -3.329 0.010
C -0.902 1.440 -3.208 0.016
C -1.684 0.235 -3.209 0.012
C -1.060 -0.992 -3.329 -0.002
C 0.368 -1.062 -3.454 0.072
C 1.119 0.097 -3.454 -0.010
H 1.089 2.277 -3.355 0.303
H -1.424 2.401 -3.134 0.303
H -2.774 0.320 -3.137 0.303
H -1.634 -1.925 -3.353 0.301
H 0.834 -2.047 -3.571 0.290
H 2.209 0.073 -3.569 0.302
C -2.475 1.614 4.113 -0.092
C -1.479 2.377 3.538 -0.192
C -0.802 1.909 2.424 0.018
N -1.181 0.770 1.879 -0.483
C -2.069 -0.037 2.424 0.005
C -2.771 0.394 3.539 -0.181
H -3.000 1.956 4.995 0.279
H -1.180 3.327 3.965 0.266
H 0.012 2.543 2.041 0.211
H -2.321 -1.037 2.042 0.213
H -3.519 -0.263 3.965 0.265
```

3.
Molecular formula: C19H20N4O2SbSe4Tc
Method: DFT, ωB97M-V/def2-TZVPD

Values from the calculation:
* spin multiplicity: 1
* total charge: +2
* highest occupied orbital energy (spin up / spin down): -13.25 / -13.24 eV
* orbital gap (spin up / spin down): 4.7 / 4.6 eV
* lowest unoccupied orbital energy (spin up / spin down): -8.596 / -8.596 eV

XYZ file:
```
51
Properties=species:S:1:pos:R:3:nbo_charge:R:1
Tc -12.715 -6.594 6.851 0.742
O -11.626 -6.806 5.092 -0.607
C -11.726 -7.961 4.455 0.417
C -11.156 -7.974 3.142 -0.273